********
(1)
Density functional theory data (ωB97M-V/def2-TZVPD) for a structure of composition C3H4NdO3.

```
! wB97M-V def2-TZVPD RIJCOSX def2/J DEFGRID3
* xyz 1 4
H 0.976 -1.036 -1.427
Nd 0.854 2.161 0.437
H 0.109 -0.869 1.558
C -1.907 0.505 -0.047
O -3.070 0.473 -0.403
O -1.237 1.523 0.326
H 2.082 -1.206 0.129
C 0.055 -0.750 0.470
H 2.235 0.865 -0.641
O -1.224 -0.696 -0.055
C 1.127 -0.970 -0.346
*
```

The calculation puts the HOMO-LUMO gap (alpha / beta) at 6.949 / 7.364 eV. Its energy above the lowest of the compared OMol25 structures with the same formula, charge and spin is 36.49 kcal per mole. As for the expectation value of S²: 3.804. The HOMO energy (alpha / beta) is -13.35 / -13.36 eV. The total energy comes out at -24585.15601 eV.


(2)
Density functional theory data (ωB97M-V/def2-TZVPD) for a structure of composition C3H2I2NPS.

```
! wB97M-V def2-TZVPD RIJCOSX def2/J DEFGRID3
* xyz 0 1
C 1.000 -0.410 -0.849
N 1.160 -0.196 2.607
C 0.395 0.387 0.175
H 0.513 1.418 -0.020
S 2.565 -0.125 -1.610
C 0.855 0.025 1.519
P -1.848 -0.060 0.684
I -2.432 -1.747 -1.035
H 0.473 -1.286 -1.238
I -2.682 1.994 -0.234
*
```

The calculation puts the HOMO-LUMO gap at 7.686 eV. The HOMO energy is -9.31 eV. The total energy comes out at -40956.94711 eV.


(3)
Density functional theory data (ωB97M-V/def2-TZVPD) for a cluster of 17 separate species, C17H34Cl34 in total.

```
! wB97M-V def2-TZVPD RIJCOSX def2/J DEFGRID3
* xyz 0 1
H -1.016 8.070 0.531
C 0.776 -0.047 -0.500
Cl -2.771 2.789 -0.085
C -0.102 7.660 0.961
Cl -6.442 -0.962 -3.117
H 1.952 -4.900 -4.670
H -1.531 4.474 -3.849
H -6.801 -2.337 -1.324
H 1.039 -5.801 -1.433
Cl 5.679 -3.058 0.553
H -0.434 3.921 3.326
H 5.345 1.702 1.551
Cl 6.197 1.225 3.649
H -4.917 1.182 4.030
C -1.056 0.374 -4.653
Cl -4.432 -1.920 -1.307
C 0.479 3.437 3.670
C 2.955 3.388 -0.944
C 0.450 -6.293 -0.660
Cl -2.766 1.232 3.111
H 0.746 8.228 0.578
Cl -1.885 6.393 -2.428
H -1.401 -2.556 1.617
Cl 0.043 6.010 0.298
H 1.127 0.523 -1.360
C 4.666 0.333 -4.541
Cl 0.566 3.890 5.453
H 4.373 2.489 2.871
Cl 3.652 1.813 -0.468
Cl -2.152 -0.970 -4.122
C 3.985 -3.504 0.719
Cl -0.183 7.677 2.765
Cl 0.845 -2.821 2.189
Cl 1.202 -6.513 0.945
H 1.567 -0.666 -0.077
H 2.339 -3.371 -3.807
Cl 2.323 3.140 -2.591
Cl -2.443 -5.146 1.012
H -3.595 0.641 0.117
Cl -0.561 -1.093 -1.031
C -3.948 1.391 4.483
Cl 1.972 4.010 2.837
Cl 3.646 0.282 2.417
Cl 1.208 -1.900 7.437
Cl -0.137 -7.826 -1.436
Cl -3.573 0.055 5.533
H 4.355 0.325 -5.586
Cl 1.082 -2.921 -5.798
Cl 3.415 -0.560 -3.679
C -5.993 -2.249 -2.051
H 0.444 2.348 3.653
Cl 0.184 -4.106 -3.324
H 3.544 -2.959 1.554
H 3.806 -4.566 0.883
C -0.782 -2.136 2.409
Cl 1.077 -0.027 5.223
H 4.694 1.377 -4.229
H -0.377 4.479 -2.502
H -2.947 0.761 -1.432
H -5.852 -3.185 -2.590
H -0.443 -5.683 -0.525
C 0.236 -0.620 6.637
Cl -5.178 1.768 -1.345
Cl 6.300 -0.429 -4.360
H -4.438 -4.600 -0.150
H 3.634 4.240 -0.919
C 4.863 1.580 2.521
H 0.006 0.137 7.386
C -3.923 -5.540 0.050
H -1.258 0.719 -5.667
Cl -1.202 1.875 -3.668
H -0.028 0.034 -4.531
Cl 0.385 5.814 -4.261
C -3.562 1.326 -0.731
Cl -3.678 -6.279 -1.557
H -4.656 -6.053 0.672
Cl 3.146 -3.081 -0.756
Cl -1.504 -2.645 3.987
H -3.815 2.345 4.993
Cl 0.178 1.118 0.760
H -0.793 -1.047 2.362
C 1.592 -3.911 -4.389
H -0.702 -1.039 6.273
H 2.095 3.638 -0.323
C -0.884 5.103 -3.237
*
```

The calculation puts the HOMO-LUMO gap at 10.677 eV. Its energy above the lowest of the compared OMol25 structures with the same formula, charge and spin is 0.00 kcal per mole. The HOMO energy is -10.54 eV. The total energy comes out at -443943.24580 eV.


(4)
Density functional theory data (ωB97M-V/def2-TZVPD) for a structure of composition C19H38N5OOsPSi.

```
! wB97M-V def2-TZVPD RIJCOSX def2/J DEFGRID3
* xyz 0 5
H -0.637 -3.072 -0.729
C -1.755 -1.742 1.878
C -0.884 0.988 -3.246
H 2.650 -2.389 -2.085
H 4.324 -1.035 -0.761
H 2.012 1.155 -3.879
C -3.028 0.099 -0.546
H -0.062 3.287 -1.453
H 1.693 2.968 -1.307
C 3.052 -0.044 0.706
H -1.199 0.664 2.734
H 1.637 -1.648 2.195
********

Could you start at the top of the lines further above and copy each line, ending with the one that has "-1.031"?

(1)
Density functional theory data (ωB97M-V/def2-TZVPD) for a structure of composition C3H4NdO3.

```
! wB97M-V def2-TZVPD RIJCOSX def2/J DEFGRID3
* xyz 1 4
H 0.976 -1.036 -1.427
Nd 0.854 2.161 0.437
H 0.109 -0.869 1.558
C -1.907 0.505 -0.047
O -3.070 0.473 -0.403
O -1.237 1.523 0.326
H 2.082 -1.206 0.129
C 0.055 -0.750 0.470
H 2.235 0.865 -0.641
O -1.224 -0.696 -0.055
C 1.127 -0.970 -0.346
*
```

The calculation puts the HOMO-LUMO gap (alpha / beta) at 6.949 / 7.364 eV. Its energy above the lowest of the compared OMol25 structures with the same formula, charge and spin is 36.49 kcal per mole. As for the expectation value of S²: 3.804. The HOMO energy (alpha / beta) is -13.35 / -13.36 eV. The total energy comes out at -24585.15601 eV.


(2)
Density functional theory data (ωB97M-V/def2-TZVPD) for a structure of composition C3H2I2NPS.

```
! wB97M-V def2-TZVPD RIJCOSX def2/J DEFGRID3
* xyz 0 1
C 1.000 -0.410 -0.849
N 1.160 -0.196 2.607
C 0.395 0.387 0.175
H 0.513 1.418 -0.020
S 2.565 -0.125 -1.610
C 0.855 0.025 1.519
P -1.848 -0.060 0.684
I -2.432 -1.747 -1.035
H 0.473 -1.286 -1.238
I -2.682 1.994 -0.234
*
```

The calculation puts the HOMO-LUMO gap at 7.686 eV. The HOMO energy is -9.31 eV. The total energy comes out at -40956.94711 eV.


(3)
Density functional theory data (ωB97M-V/def2-TZVPD) for a cluster of 17 separate species, C17H34Cl34 in total.

```
! wB97M-V def2-TZVPD RIJCOSX def2/J DEFGRID3
* xyz 0 1
H -1.016 8.070 0.531
C 0.776 -0.047 -0.500
Cl -2.771 2.789 -0.085
C -0.102 7.660 0.961
Cl -6.442 -0.962 -3.117
H 1.952 -4.900 -4.670
H -1.531 4.474 -3.849
H -6.801 -2.337 -1.324
H 1.039 -5.801 -1.433
Cl 5.679 -3.058 0.553
H -0.434 3.921 3.326
H 5.345 1.702 1.551
Cl 6.197 1.225 3.649
H -4.917 1.182 4.030
C -1.056 0.374 -4.653
Cl -4.432 -1.920 -1.307
C 0.479 3.437 3.670
C 2.955 3.388 -0.944
C 0.450 -6.293 -0.660
Cl -2.766 1.232 3.111
H 0.746 8.228 0.578
Cl -1.885 6.393 -2.428
H -1.401 -2.556 1.617
Cl 0.043 6.010 0.298
H 1.127 0.523 -1.360
C 4.666 0.333 -4.541
Cl 0.566 3.890 5.453
H 4.373 2.489 2.871
Cl 3.652 1.813 -0.468
Cl -2.152 -0.970 -4.122
C 3.985 -3.504 0.719
Cl -0.183 7.677 2.765
Cl 0.845 -2.821 2.189
Cl 1.202 -6.513 0.945
H 1.567 -0.666 -0.077
H 2.339 -3.371 -3.807
Cl 2.323 3.140 -2.591
Cl -2.443 -5.146 1.012
H -3.595 0.641 0.117
Cl -0.561 -1.093 -1.031